_Exercise_
What is needed: quote only the lines further down with the word "DEFGRID3" in them.
_Material_
-- begin --
Molecular formula: C3H6N2O2
Method: DFT, wB97M-V/def2-TZVPD

```
! RIJCOSX wB97M-V def2-TZVPD def2/J DEFGRID3
* xyz 0 1
H 0.333 -1.659 0.172
N 0.969 1.072 -0.761
C 0.148 -0.845 0.880
C 1.674 0.722 0.213
O 1.362 -0.213 1.194
H -2.062 0.459 -1.379
C -0.909 0.119 0.302
H -1.242 -1.014 -1.475
O -1.488 0.945 0.953
N -1.254 -0.078 -1.097
H 2.675 1.106 0.455
H 0.052 0.640 -1.259
H -0.257 -1.255 1.803
*
```

E = -377.84898 Ha
Kohn-Sham gap = 9.72 eV
structure (SMILES) = [H]/N=C\OCC(N)=O
-- stop --
_Result_
! RIJCOSX wB97M-V def2-TZVPD def2/J DEFGRID3